## Assignment
Say how many lines of the block underneath hold the word "energy", as a bare number.

## Entries
This record from Alexandria via LeMat-Bulk describes crystalline Pm6Y2Th at its relaxed geometry. The functional is PBE.

Calculated values
The value obtained for the formation energy is 52 kJ/mol of formula units.

Structure (extended XYZ):
```
9
Lattice="3.6278 0.0000 0.0000 -1.8139 3.1417 0.0000 0.0000 0.0000 26.9941" Properties=species:S:1:pos:R:3 pbc="T T T"
Pm 0.0000 0.0000 1.7808
Pm 0.0000 0.0000 7.5549
Pm 0.0000 0.0000 19.4392
Pm 0.0000 0.0000 25.2133
Pm 0.0000 2.0945 10.5645
Pm 0.0000 2.0945 16.4296
Y 0.0000 2.0945 4.6161
Y 0.0000 2.0945 22.3780
Th 0.0000 0.0000 13.4970
```


This record from Alexandria via LeMat-Bulk describes crystalline Pm14YTh at its relaxed geometry. The functional is PBE.

Calculated values
The value obtained for the formation energy is 32 kJ/mol of formula units.

Structure (extended XYZ):
```
16
Lattice="7.2762 0.0000 0.0000 0.0000 7.2762 0.0000 0.0000 0.0000 10.3242" Properties=species:S:1:pos:R:3 pbc="T T T"
Pm 0.0000 0.0000 0.0000
Pm 0.0000 3.6381 0.0000
Pm 0.0000 3.6381 5.1621
Pm 1.8023 1.8023 2.6087
Pm 1.8023 1.8023 7.7155
Pm 1.8023 5.4739 2.6087
Pm 1.8023 5.4739 7.7155
Pm 3.6381 0.0000 0.0000
Pm 3.6381 0.0000 5.1621
Pm 3.6381 3.6381 0.0000
Pm 5.4739 1.8023 2.6087
Pm 5.4739 1.8023 7.7155
Pm 5.4739 5.4739 2.6087
Pm 5.4739 5.4739 7.7155
Y 3.6381 3.6381 5.1621
Th 0.0000 0.0000 5.1621
```


This record from Alexandria via LeMat-Bulk describes crystalline Pm2Y5Th2 at its relaxed geometry. The functional is PBE.

Calculated values
The value obtained for the formation energy is 236 kJ/mol of formula units.

Structure (extended XYZ):
```
9
Lattice="11.3460 -1.7491 0.0000 11.3460 1.7491 0.0000 -1.4202 0.0000 8.0495" Properties=species:S:1:pos:R:3 pbc="T T T"
Pm 3.6759 0.0000 1.2511
Pm 17.5958 0.0000 6.7984
Y 0.0000 0.0000 0.0000
Y 1.0125 0.0000 5.8691
Y 6.3364 0.0000 3.6389
Y 14.9354 0.0000 4.4106
Y 20.2592 0.0000 2.1804
Th 9.2477 0.0000 5.1992
Th 12.0241 0.0000 2.8503
```


This record from Alexandria via LeMat-Bulk describes crystalline Pm12Y5Th2 at its relaxed geometry. The functional is PBE.

Calculated values
Its polymorph energy (0 for the lowest one) is 0.23 eV per formula unit. The value obtained for the formation energy is 277 kJ/mol of formula units.

Structure (extended XYZ):
```
19
Lattice="11.1929 -3.5521 0.0000 11.1929 3.5521 0.0000 -3.0056 0.0000 8.2329" Properties=species:S:1:pos:R:3 pbc="T T T"
Pm 0.4368 0.0000 1.6416
Pm 4.5893 1.7981 5.8162
Pm 8.4668 1.8178 0.9263
Pm 10.9134 1.8178 7.3066
Pm 6.7244 0.0000 3.6366
Pm 14.7909 1.7981 2.4167
Pm 4.5893 -1.7981 5.8162
Pm 12.6558 0.0000 4.5962
Pm 8.4668 -1.8178 0.9263
Pm 10.9134 -1.8178 7.3066
Pm 14.7909 -1.7981 2.4167
Pm 18.9434 0.0000 6.5912
Y 1.5516 0.0000 4.9161
Y 5.5968 0.0000 0.0680
Y 11.1929 0.0000 0.0000
Y 13.7834 0.0000 8.1649
Y 17.8286 0.0000 3.3168
Th 9.6901 1.7787 4.1164
Th 9.6901 -1.7787 4.1164
```


This record from Alexandria via LeMat-Bulk describes crystalline Pm3Y4Th2 at its relaxed geometry. The functional is PBE.

Calculated values
Its polymorph energy (0 for the lowest one) is 0.00 eV per formula unit. The value obtained for the formation energy is 115 kJ/mol of formula units.

Structure (extended XYZ):
```
9
Lattice="8.3354 -2.9167 0.0000 8.3354 2.9167 0.0000 -1.7272 0.0000 6.1789" Properties=species:S:1:pos:R:3 pbc="T T T"
Pm 0.0000 0.0000 0.0000
Pm 1.1623 0.0000 3.4868
Pm 13.7813 0.0000 2.6921
Y 3.5686 0.0000 0.8178
Y 6.8633 0.0000 1.5823
Y 8.0804 0.0000 4.5966
Y 11.3750 0.0000 5.3611
Th 4.6758 0.0000 4.4037
Th 10.2678 0.0000 1.7752
```


This record from Alexandria via LeMat-Bulk describes crystalline Pm2Y5Th at its relaxed geometry. The functional is PBE.

Calculated values
The value obtained for the formation energy is 21 kJ/mol of formula units.

Structure (extended XYZ):
```
16
Lattice="7.1747 0.0000 0.0000 0.0000 14.3858 0.0000 0.0000 0.0000 5.0931" Properties=species:S:1:pos:R:3 pbc="T T T"
Pm 1.7708 1.7671 0.0000
Pm 1.8166 8.9600 0.0000
Pm 5.3581 5.4258 0.0000
Pm 5.4039 12.6187 0.0000

## Outcome
6